Request:
Reproduce everything below unchanged.

Source:
1.
ORCA calculation (ωB97M-V with the def2-TZVPD basis set) on a structure of composition C31H82FFeO11 in a non-equilibrium geometry.

Each line ends with the Mulliken charge.
CARTESIAN COORDINATES (ANGSTROEM)
Fe (-6.501, 6.324, 20.158)  0.75
C (-5.676, 6.467, 24.399)  -1.29
C (-7.009, 6.583, 23.562)  -0.19
O (-6.838, 6.699, 22.156)  0.10
H (-5.813, 6.212, 25.450)  0.44
H (-5.042, 7.354, 24.398)  0.32
H (-5.014, 5.699, 24.000)  0.18
H (-7.538, 7.403, 24.047)  0.33
H (-7.597, 5.741, 23.929)  -0.20
C (-6.971, 6.400, 15.854)  -1.42
C (-6.159, 5.664, 16.906)  0.13
O (-6.164, 6.283, 18.162)  -0.19
H (-7.991, 6.620, 16.172)  0.19
H (-6.855, 5.837, 14.928)  0.36
H (-6.464, 7.351, 15.690)  0.41
H (-5.099, 5.646, 16.655)  0.33
H (-6.524, 4.640, 16.822)  -0.31
F (-7.652, 4.655, 20.237)  -0.61
C (-14.530, 4.943, 21.378)  -1.62
C (-13.281, 4.053, 21.199)  1.02
C (-13.188, 3.191, 19.896)  -1.27
O (-12.273, 5.004, 21.121)  -0.27
H (-14.664, 5.550, 20.483)  0.33
H (-14.432, 5.579, 22.258)  0.35
H (-15.440, 4.359, 21.522)  0.41
H (-13.031, 3.351, 21.994)  0.19
H (-12.202, 2.814, 19.623)  0.10
H (-13.547, 3.658, 18.979)  0.34
H (-13.892, 2.374, 20.054)  0.46
H (-11.440, 4.528, 21.108)  -0.02
C (-3.510, 9.696, 20.773)  -1.46
C (-4.871, 9.059, 21.062)  0.99
C (-5.951, 10.156, 21.211)  -1.38
O (-5.264, 8.200, 20.025)  -0.02
H (-3.443, 10.108, 19.766)  0.38
H (-2.767, 8.899, 20.735)  0.37
H (-3.218, 10.532, 21.409)  0.39
H (-4.898, 8.508, 22.002)  -0.22
H (-6.044, 10.790, 20.329)  0.35
H (-5.653, 10.762, 22.066)  0.49
H (-6.899, 9.671, 21.446)  0.09
H (-4.973, 8.592, 19.198)  0.17
C (-6.632, 2.794, 25.136)  -0.65
C (-6.942, 2.176, 26.471)  0.14
C (-8.336, 1.652, 26.414)  -1.03
O (-6.160, 1.003, 26.743)  -0.57
H (-7.272, 3.648, 24.912)  -0.02
H (-6.783, 2.110, 24.301)  0.29
H (-5.588, 3.104, 25.099)  0.35
H (-6.770, 2.938, 27.230)  0.39
H (-9.052, 2.407, 26.089)  0.12
H (-8.655, 1.361, 27.414)  0.35
H (-8.353, 0.825, 25.704)  0.32
H (-5.754, 1.071, 27.610)  0.33
C (-3.070, 3.928, 19.473)  -1.60
C (-4.381, 4.066, 20.215)  1.72
C (-4.385, 3.357, 21.549)  -1.24
O (-4.710, 5.431, 20.538)  -0.09
H (-2.292, 4.414, 20.062)  0.56
H (-2.954, 4.561, 18.594)  0.28
H (-2.762, 2.909, 19.237)  0.38
H (-5.215, 3.675, 19.632)  -0.98
H (-3.413, 3.583, 21.988)  0.48
H (-4.501, 2.273, 21.575)  0.34
H (-5.206, 3.699, 22.179)  0.10
H (-3.934, 5.790, 20.974)  0.22
C (-4.475, 1.331, 16.896)  -0.37
C (-3.777, 1.713, 15.505)  0.44
C (-2.406, 2.304, 15.687)  -1.36
O (-3.596, 0.584, 14.611)  -0.58
H (-4.629, 2.231, 17.492)  -0.13
H (-3.866, 0.643, 17.483)  0.49
H (-5.451, 0.853, 16.822)  -0.06
H (-4.390, 2.448, 14.984)  0.24
H (-2.508, 3.134, 16.387)  0.20
H (-1.898, 2.625, 14.778)  0.39
H (-1.680, 1.623, 16.131)  0.35
H (-4.414, 0.502, 14.115)  0.34
C (-11.211, 3.113, 15.162)  -1.60
C (-9.984, 3.739, 15.926)  0.52
C (-10.340, 3.996, 17.392)  0.00
O (-8.830, 2.947, 15.744)  -0.55
H (-11.073, 3.167, 14.082)  0.41
H (-12.064, 3.761, 15.365)  0.38
H (-11.308, 2.040, 15.322)  0.33
H (-9.756, 4.711, 15.487)  0.18
H (-9.559, 4.617, 17.832)  -0.61
H (-10.476, 3.030, 17.879)  -0.25
H (-11.288, 4.524, 17.498)  0.79
H (-8.409, 2.942, 16.607)  -0.05
C (-10.448, 4.249, 23.622)  -1.37
C (-9.687, 3.332, 22.655)  1.92
C (-9.969, 1.855, 22.726)  -1.44
O (-9.934, 3.726, 21.332)  0.89
H (-10.150, 4.050, 24.651)  0.20
H (-11.527, 4.113, 23.701)  0.33
H (-10.283, 5.277, 23.298)  0.21
H (-8.625, 3.525, 22.802)  -0.62
H (-9.163, 1.312, 22.232)  0.30
H (-10.880, 1.498, 22.246)  0.26
H (-9.900, 1.447, 23.735)  0.28
H (-9.073, 3.991, 21.001)  -0.73
C (-9.878, 8.192, 21.209)  -1.50
C (-9.460, 7.268, 20.079)  2.25
C (-10.437, 7.339, 18.889)  -1.18
O (-8.138, 7.673, 19.706)  -0.23
H (-9.186, 8.226, 22.050)  0.21
H (-10.855, 7.904, 21.595)  0.32
H (-10.029, 9.229, 20.907)  0.43
H (-9.419, 6.228, 20.405)  -1.31
H (-9.902, 6.854, 18.072)  0.22
H (-10.737, 8.374, 18.728)  0.47
H (-11.385, 6.836, 19.079)  0.12
H (-8.271, 8.552, 19.343)  0.27
C (-8.461, 0.458, 17.704)  -1.46
C (-8.067, 1.367, 18.910)  1.30

Done:
1.
ORCA calculation (ωB97M-V with the def2-TZVPD basis set) on a structure of composition C31H82FFeO11 in a non-equilibrium geometry.

Each line ends with the Mulliken charge.
CARTESIAN COORDINATES (ANGSTROEM)
Fe (-6.501, 6.324, 20.158)  0.75
C (-5.676, 6.467, 24.399)  -1.29
C (-7.009, 6.583, 23.562)  -0.19
O (-6.838, 6.699, 22.156)  0.10
H (-5.813, 6.212, 25.450)  0.44
H (-5.042, 7.354, 24.398)  0.32
H (-5.014, 5.699, 24.000)  0.18
H (-7.538, 7.403, 24.047)  0.33
H (-7.597, 5.741, 23.929)  -0.20
C (-6.971, 6.400, 15.854)  -1.42
C (-6.159, 5.664, 16.906)  0.13
O (-6.164, 6.283, 18.162)  -0.19
H (-7.991, 6.620, 16.172)  0.19
H (-6.855, 5.837, 14.928)  0.36
H (-6.464, 7.351, 15.690)  0.41
H (-5.099, 5.646, 16.655)  0.33
H (-6.524, 4.640, 16.822)  -0.31
F (-7.652, 4.655, 20.237)  -0.61
C (-14.530, 4.943, 21.378)  -1.62
C (-13.281, 4.053, 21.199)  1.02
C (-13.188, 3.191, 19.896)  -1.27
O (-12.273, 5.004, 21.121)  -0.27
H (-14.664, 5.550, 20.483)  0.33
H (-14.432, 5.579, 22.258)  0.35
H (-15.440, 4.359, 21.522)  0.41
H (-13.031, 3.351, 21.994)  0.19
H (-12.202, 2.814, 19.623)  0.10
H (-13.547, 3.658, 18.979)  0.34
H (-13.892, 2.374, 20.054)  0.46
H (-11.440, 4.528, 21.108)  -0.02
C (-3.510, 9.696, 20.773)  -1.46
C (-4.871, 9.059, 21.062)  0.99
C (-5.951, 10.156, 21.211)  -1.38
O (-5.264, 8.200, 20.025)  -0.02
H (-3.443, 10.108, 19.766)  0.38
H (-2.767, 8.899, 20.735)  0.37
H (-3.218, 10.532, 21.409)  0.39
H (-4.898, 8.508, 22.002)  -0.22
H (-6.044, 10.790, 20.329)  0.35
H (-5.653, 10.762, 22.066)  0.49
H (-6.899, 9.671, 21.446)  0.09
H (-4.973, 8.592, 19.198)  0.17
C (-6.632, 2.794, 25.136)  -0.65
C (-6.942, 2.176, 26.471)  0.14
C (-8.336, 1.652, 26.414)  -1.03
O (-6.160, 1.003, 26.743)  -0.57
H (-7.272, 3.648, 24.912)  -0.02
H (-6.783, 2.110, 24.301)  0.29
H (-5.588, 3.104, 25.099)  0.35
H (-6.770, 2.938, 27.230)  0.39
H (-9.052, 2.407, 26.089)  0.12
H (-8.655, 1.361, 27.414)  0.35
H (-8.353, 0.825, 25.704)  0.32
H (-5.754, 1.071, 27.610)  0.33
C (-3.070, 3.928, 19.473)  -1.60
C (-4.381, 4.066, 20.215)  1.72
C (-4.385, 3.357, 21.549)  -1.24
O (-4.710, 5.431, 20.538)  -0.09
H (-2.292, 4.414, 20.062)  0.56
H (-2.954, 4.561, 18.594)  0.28
H (-2.762, 2.909, 19.237)  0.38
H (-5.215, 3.675, 19.632)  -0.98
H (-3.413, 3.583, 21.988)  0.48
H (-4.501, 2.273, 21.575)  0.34
H (-5.206, 3.699, 22.179)  0.10
H (-3.934, 5.790, 20.974)  0.22
C (-4.475, 1.331, 16.896)  -0.37
C (-3.777, 1.713, 15.505)  0.44
C (-2.406, 2.304, 15.687)  -1.36
O (-3.596, 0.584, 14.611)  -0.58
H (-4.629, 2.231, 17.492)  -0.13
H (-3.866, 0.643, 17.483)  0.49
H (-5.451, 0.853, 16.822)  -0.06
H (-4.390, 2.448, 14.984)  0.24
H (-2.508, 3.134, 16.387)  0.20
H (-1.898, 2.625, 14.778)  0.39
H (-1.680, 1.623, 16.131)  0.35
H (-4.414, 0.502, 14.115)  0.34
C (-11.211, 3.113, 15.162)  -1.60
C (-9.984, 3.739, 15.926)  0.52
C (-10.340, 3.996, 17.392)  0.00
O (-8.830, 2.947, 15.744)  -0.55
H (-11.073, 3.167, 14.082)  0.41
H (-12.064, 3.761, 15.365)  0.38
H (-11.308, 2.040, 15.322)  0.33
H (-9.756, 4.711, 15.487)  0.18
H (-9.559, 4.617, 17.832)  -0.61
H (-10.476, 3.030, 17.879)  -0.25
H (-11.288, 4.524, 17.498)  0.79
H (-8.409, 2.942, 16.607)  -0.05
C (-10.448, 4.249, 23.622)  -1.37
C (-9.687, 3.332, 22.655)  1.92
C (-9.969, 1.855, 22.726)  -1.44
O (-9.934, 3.726, 21.332)  0.89
H (-10.150, 4.050, 24.651)  0.20
H (-11.527, 4.113, 23.701)  0.33
H (-10.283, 5.277, 23.298)  0.21
H (-8.625, 3.525, 22.802)  -0.62
H (-9.163, 1.312, 22.232)  0.30
H (-10.880, 1.498, 22.246)  0.26
H (-9.900, 1.447, 23.735)  0.28
H (-9.073, 3.991, 21.001)  -0.73
C (-9.878, 8.192, 21.209)  -1.50
C (-9.460, 7.268, 20.079)  2.25
C (-10.437, 7.339, 18.889)  -1.18
O (-8.138, 7.673, 19.706)  -0.23
H (-9.186, 8.226, 22.050)  0.21
H (-10.855, 7.904, 21.595)  0.32
H (-10.029, 9.229, 20.907)  0.43
H (-9.419, 6.228, 20.405)  -1.31
H (-9.902, 6.854, 18.072)  0.22
H (-10.737, 8.374, 18.728)  0.47
H (-11.385, 6.836, 19.079)  0.12
H (-8.271, 8.552, 19.343)  0.27
C (-8.461, 0.458, 17.704)  -1.46
C (-8.067, 1.367, 18.910)  1.30